File =
/*
This record from Materials Project describes a geometry-optimized Be2Si2O5 structure. The functional is PBE-GGA.

Values from the calculation:
DFT total energy, eV/atom: -6.317

Geometry as CIF:
```
data_Be2Si2O5
_cell_length_a 3.3313
_cell_length_b 3.3313
_cell_length_c 6.6810
_cell_angle_alpha 90.00
_cell_angle_beta 90.00
_cell_angle_gamma 90.00
_space_group_name_H-M_alt 'P 4/m m m'
_space_group_IT_number 123
_space_group_name_Hall '-P 4 2'
loop_
_atom_site_label
_atom_site_fract_x
_atom_site_fract_y
_atom_site_fract_z
_atom_site_occupancy
Be1 0.0000 0.0000 0.2482 1
Si1 0.5000 0.5000 0.0000 1
Si2 0.5000 0.5000 0.5000 1
O1 0.0000 0.0000 0.5000 1
O2 0.0000 0.5000 0.1729 1
```

This record from Materials Project describes a geometry-optimized CuCl structure. The functional is PBE-GGA.

Values from the calculation:
DFT total energy, eV/atom: -3.176

Geometry as CIF:
```
data_CuCl
_cell_length_a 5.1118
_cell_length_b 5.1118
_cell_length_c 5.1118
_cell_angle_alpha 90.00
_cell_angle_beta 90.00
_cell_angle_gamma 90.00
_space_group_name_H-M_alt 'F m -3 m'
_space_group_IT_number 225
_space_group_name_Hall '-F 4 2 3'
loop_
_atom_site_label
_atom_site_fract_x
_atom_site_fract_y
_atom_site_fract_z
_atom_site_occupancy
Cu1 0.0000 0.0000 0.0000 1
Cl1 0.0000 0.0000 0.5000 1
```

This record from Materials Project describes a geometry-optimized Ba4Li2Cd3As6 structure. The functional is PBE-GGA.

Values from the calculation:
DFT total energy, eV/atom: -3.640

Geometry as CIF:
```
data_Ba4Li2Cd3As6
_cell_length_a 4.6643
_cell_length_b 20.6364
_cell_length_c 17.3746
_cell_angle_alpha 90.00
_cell_angle_beta 90.00
_cell_angle_gamma 90.00
_space_group_name_H-M_alt 'C m c m'
_space_group_IT_number 63
_space_group_name_Hall '-C 2c 2'
loop_
_atom_site_label
_atom_site_fract_x
_atom_site_fract_y
_atom_site_fract_z
_atom_site_occupancy
Ba1 0.0000 0.0166 0.1216 1
Ba2 0.0000 0.1732 0.5697 1
Li1 0.0000 0.1491 0.2500 1
Li2 0.0000 0.4361 0.2500 1
Cd1 0.0000 0.2961 0.2500 1
Cd2 0.0000 0.3510 0.6234 1
As1 0.0000 0.1195 0.7500 1
As2 0.0000 0.2196 0.1176 1
As3 0.0000 0.4319 0.7500 1
As4 0.0000 0.4397 0.0133 1
```

This record from Materials Project describes a geometry-optimized Na3Zn2In2PS5O24 structure. The functional is PBE-GGA.

Values from the calculation:
DFT total energy, eV/atom: -5.851

Geometry as CIF:
```
data_Na3Zn2In2PS5O24
_cell_length_a 8.8222
_cell_length_b 8.8373
_cell_length_c 23.0300
_cell_angle_alpha 89.64
_cell_angle_beta 89.48
_cell_angle_gamma 60.06
_space_group_name_H-M_alt 'P 1'
_space_group_IT_number 1
loop_
_space_group_symop_operation_xyz
'x,y,z'
loop_
_atom_site_label
_atom_site_fract_x
_atom_site_fract_y
_atom_site_fract_z
_atom_site_occupancy
Na1 0.0000 0.0000 0.0000 1
Na2 0.0046 0.6331 0.7462 1
Na3 0.2992 0.6615 0.5835 1
Na4 0.3366 0.3257 0.6666 1
Na5 0.3537 0.3305 0.1663 1
Na6 0.6466 0.6691 0.8297 1
Na7 0.6560 0.6697 0.3304 1
Na8 0.9884 0.0040 0.4996 1
Na9 0.9953 0.3652 0.2510 1
Zn1 0.3193 0.3367 0.5164 1
Zn2 0.3350 0.3315 0.0160 1
Zn3 0.3418 0.3385 0.8173 1
Zn4 0.3549 0.3316 0.3171 1
Zn5 0.6573 0.6626 0.1824 1
Zn6 0.6620 0.6663 0.6817 1
In1 0.0089 0.9960 0.8506 1
In2 0.6649 0.6678 0.9830 1
In3 0.6758 0.6669 0.4829 1
In4 0.9928 0.0025 0.1499 1
In5 0.9933 0.0040 0.3498 1
In6 0.9980 0.9973 0.6512 1
P1 0.3058 0.6970 0.7493 1
P2 0.6986 0.3017 0.2492 1
P3 0.9639 0.6633 0.5856 1
S1 0.0002 0.2986 0.7500 1
S2 0.0004 0.6991 0.2499 1
S3 0.0408 0.6245 0.9165 1
S4 0.0433 0.3318 0.4146 1
S5 0.2999 0.9987 0.2499 1
S6 0.3334 0.6285 0.4176 1
S7 0.3338 0.0449 0.9168 1
S8 0.3694 0.6647 0.0838 1
S9 0.3738 0.9643 0.5833 1
S10 0.6216 0.0434 0.4174 1
S11 0.6269 0.3321 0.9170 1
S12 0.6635 0.9616 0.0839 1
S13 0.6667 0.3703 0.5831 1
S14 0.6975 0.0028 0.7512 1
S15 0.9667 0.3715 0.0839 1
O1 0.0191 0.8044 0.9134 1
O2 0.0247 0.1717 0.4128 1
O3 0.0262 0.1917 0.6974 1
O4 0.0345 0.7766 0.1975 1
O5 0.1160 0.5277 0.8619 1
O6 0.1227 0.3520 0.3606 1
O7 0.1408 0.3551 0.0767 1
O8 0.1448 0.3122 0.4673 1
O9 0.1458 0.5411 0.9684 1
O10 0.1516 0.5022 0.5790 1
*/

Work order =
What is needed: filter the rows further up: keep the lines with the word "S3".

Outcome =
S3 0.0408 0.6245 0.9165 1